Activity
Say how many lines of the lines further below hold the word "Cell", as a bare number, please.

Input
-- begin --
# 1
DFT (PBE) results for a geometry-optimized Tl2MoBr structure.

Space group: No. 166
Crystal system: trigonal
ΔE to the lowest computed polymorph (eV/atom): 0.275
E_form (uncorrected) (eV/atom): 0.5450

Cell lengths 9.394, 9.394, 9.394 Å; angles 21.41, 21.41, 21.41 degrees
Site moments in Bohr magnetons follow the coordinates.
Atoms (fractional coordinates):
Mo 0.750 0.750 0.750  1.40
Br 0.250 0.250 0.250  0.01
Tl 0.006 0.006 0.006  0.04
Tl 0.494 0.494 0.494  0.04

# 2
DFT (PBE) results for a geometry-optimized NaCuTe2Au structure.

Space group: No. 67
Crystal system: orthorhombic
E_form (uncorrected) (eV/atom): -0.2658

Cell lengths 7.864, 5.489, 7.123 Å; angles 112.66, 90.00, 90.00 degrees
Atoms (fractional coordinates):
Te 0.284 0.112 0.224
Te 0.716 0.888 0.776
Cu 0.500 0.250 0.000
Au 0.000 0.000 0.000
Te 0.716 0.612 0.224
Au 0.000 0.500 0.000
Cu 0.500 0.750 0.000
Na 0.293 0.750 0.500
Te 0.284 0.388 0.776
Na 0.707 0.250 0.500

# 3
DFT (PBE) results for a geometry-optimized Dy2Ho3Pu structure.

Space group: No. 72
Crystal system: orthorhombic
ΔE_f (kcal/mol of atoms): 13.8

Cell lengths 11.339, 8.803, 8.803 Å; angles 41.44, 49.91, 49.91 degrees
Site moments in Bohr magnetons follow the coordinates.
Atoms (fractional coordinates):
Ho 0.766 0.484 0.984  0.06
Dy 0.645 0.101 0.101  0.05
Dy 0.355 0.899 0.899  0.05
Dy 0.848 0.399 0.399  0.05
Dy 0.152 0.601 0.601  0.05
Ho 0.766 0.984 0.484  0.06
Pu 0.000 0.500 0.500  5.57
Ho 0.500 0.750 0.250  -0.13
Ho 0.234 0.016 0.516  0.06
Ho 0.234 0.516 0.016  0.06
Pu 0.000 0.000 0.000  5.57
Ho 0.500 0.250 0.750  -0.13

# 4
DFT (PBE) results for a geometry-optimized LiMo2PH structure.

Space group: No. 123
Final energy (eV for the cell shown): -28.4
Crystal system: tetragonal

Cell lengths 4.821, 2.937, 4.821 Å; angles 90.00, 90.00, 90.00 degrees
Atoms (fractional coordinates):
Mo 0.500 0.000 0.000
P 0.000 0.000 0.000
Mo 0.000 0.000 0.500
H 0.000 0.500 0.000
Li 0.500 0.500 0.500

# 5
DFT (PBE) results for a geometry-optimized ErMg4Zr structure.

Space group: No. 216
Crystal system: cubic
ΔE to the lowest computed polymorph (eV/atom): 0.033
ΔE_f (kcal/mol of atoms): 1.4

Cell lengths 5.869, 5.869, 5.869 Å; angles 60.00, 60.00, 60.00 degrees
Site moments in Bohr magnetons follow the coordinates.
Atoms (fractional coordinates):
Zr 0.000 0.000 0.000  0.84
Mg 0.123 0.626 0.626  0.01
Mg 0.626 0.123 0.626  0.01
Mg 0.626 0.626 0.626  0.01
Er 0.250 0.250 0.250  0.45
Mg 0.626 0.626 0.123  0.01

# 6
DFT (PBE) results for a geometry-optimized La3GaHg2 structure.

Space group: No. 65
Crystal system: orthorhombic
ΔE_f (kcal/mol of atoms): -12.1

Cell lengths 5.450, 8.635, 7.769 Å; angles 90.00, 90.00, 71.60 degrees
Atoms (fractional coordinates):
Ga 0.338 0.324 0.000
Hg 0.665 0.669 0.500
La 0.828 0.344 0.766
Hg 0.000 0.000 0.500
Hg 0.335 0.331 0.500
La 0.172 0.656 0.766
La 0.172 0.656 0.234
La 0.500 0.000 0.759
Hg 0.000 0.000 0.000
Ga 0.662 0.676 0.000
La 0.500 0.000 0.241
La 0.828 0.344 0.234

# 7
DFT (PBE) results for a geometry-optimized AcZn3CuNi structure.

Space group: No. 63
Crystal system: orthorhombic
ΔE_f (kcal/mol of atoms): -2.4

Cell lengths 5.510, 6.538, 7.081 Å; angles 117.50, 90.00, 90.00 degrees
Atoms (fractional coordinates):
Ni 0.250 0.355 0.711
Zn 0.500 0.697 0.000
Cu 0.250 0.958 0.916
Zn 0.500 0.303 0.000
Zn 0.000 0.303 0.000
Zn 0.000 0.697 0.000
Cu 0.750 0.042 0.084
Ac 0.750 0.277 0.555
Ac 0.250 0.723 0.445
Ni 0.750 0.645 0.289
Zn 0.250 0.152 0.303
Zn 0.750 0.848 0.697

# 8
DFT (PBE) results for a geometry-optimized Al3AsSe structure.

Space group: No. 221
Crystal system: cubic
ΔE to the lowest computed polymorph (eV/atom): 0.000
E_form (uncorrected) (eV/atom): 0.4395

Cell lengths 4.973, 4.973, 4.973 Å; angles 90.00, 90.00, 90.00 degrees
Atoms (fractional coordinates):
Al 0.500 0.000 0.000
Se 0.500 0.500 0.500
Al 0.000 0.000 0.500
Al 0.000 0.500 0.000
As 0.000 0.000 0.000

# 9
DFT (PBE) results for a geometry-optimized PaHg12Br7 structure.

Space group: No. 148
-- stop --

Result
8